[Input]
/*
Record 1
DFT (wB97M-V/def2-TZVPD) results for one molecule with the formula C3H3NO2S2.

The total charge is 0. Its spin multiplicity is 1. For the gap between HOMO and LUMO (spin up / spin down), the calculation gives 0.2166 / 0.2328 hartree. The HOMO energy (spin up / spin down) comes out at -7.3 / -7.6 eV. The value obtained for the lowest unoccupied orbital energy (spin up / spin down) is -1.41 / -1.22 eV.

Each line ends with the Löwdin charge.
CARTESIAN COORDINATES (ANGSTROEM)
C1 -0.3358 -1.5217 -0.1982  -0.358
C2 -0.7679 -0.2480 -0.3365  -0.544
C3 1.9274 -0.5150 0.8729  -1.053
N1 -0.0472 0.6996 0.1989  0.008
O1 -1.8165 -0.0707 -1.1939  0.096
O2 -0.5444 2.0413 -0.0643  -0.025
S1 3.0794 0.3317 1.6036  0.678
S2 1.1890 -1.9081 0.5736  1.001
H1 -1.0895 -2.2445 -0.3197  0.059
H2 -1.7067 0.8499 -1.4141  0.091
H3 0.1121 2.5853 0.2776  0.048

---

Record 2
DFT (wB97M-V/def2-TZVPD) results for a 7-piece molecular cluster, C28H53N3O4 overall.

The total charge is 0. Its spin multiplicity is 1. For the gap between HOMO and LUMO, the calculation gives 0.3785 hartree. The HOMO energy comes out at -9.6 eV. The value obtained for the lowest unoccupied orbital energy is 0.71 eV.

Each line ends with the Löwdin charge.
CARTESIAN COORDINATES (ANGSTROEM)
C1 -0.0221 -0.7075 7.9806  -0.141
C2 0.3656 -1.1517 6.5530  -0.154
C3 -0.3237 -0.1202 5.6339  -0.189
O1 -0.2420 1.1239 6.3765  -0.193
C4 -0.3406 0.8047 7.8387  -0.122
H1 0.7904 -0.8486 8.6157  0.082
H2 -0.8845 -1.2477 8.2638  0.094
H3 -0.0227 -2.1201 6.2732  0.098
H4 1.4704 -1.2636 6.4776  0.118
H5 -1.3273 -0.4799 5.4332  0.112
H6 0.1394 0.1059 4.6590  0.090
H7 -1.4034 0.9760 8.0816  0.113
H8 0.2180 1.5414 8.3641  0.098
C5 1.2751 -4.3301 -2.4204  -0.178
C6 0.3543 -3.1426 -2.2727  -0.166
C7 -0.9897 -3.8077 -1.9183  -0.122
O2 -0.8286 -5.1873 -2.4080  -0.142
C8 0.3482 -5.2879 -3.1675  -0.224
H9 1.5768 -4.7295 -1.4501  0.116
H10 2.2345 -4.2507 -2.9067  0.107
H11 0.4845 -2.6055 -3.1917  0.096
H12 0.7623 -2.5527 -1.4948  0.077
H13 -1.7159 -3.2676 -2.4366  0.082
H14 -1.1600 -3.8673 -0.8534  0.120
H15 0.2029 -5.0335 -4.1976  0.106
H16 0.6666 -6.3359 -3.1143  0.124
C9 4.6916 0.1007 -0.0580  -0.154
C10 4.4271 -0.8421 1.1287  -0.156
C11 2.9338 -1.2028 1.0370  -0.214
O3 2.5533 -0.7474 -0.2416  -0.170
C12 3.6902 -0.5031 -1.0154  -0.230
H17 5.6692 -0.0588 -0.4889  0.101
H18 4.6547 1.1852 0.0297  0.115
H19 4.6692 -0.4074 2.0948  0.102
H20 5.0216 -1.7747 1.0817  0.115
H21 2.3072 -0.6841 1.8371  0.096
H22 2.7738 -2.2920 1.2129  0.122
H23 3.3792 0.1990 -1.8153  0.134
H24 4.0719 -1.4661 -1.3683  0.122
C13 -2.5252 -1.9898 -5.8725  -0.181
C14 -3.6103 -0.9696 -5.5065  -0.153
C15 -2.9670 -0.2305 -4.3992  -0.215
O4 -1.5944 -0.1646 -4.7513  -0.157
C16 -1.2884 -1.2656 -5.6271  -0.201
H25 -2.6857 -2.3138 -6.9124  0.127
H26 -2.6967 -2.8510 -5.2772  0.101
H27 -4.5087 -1.4718 -5.2432  0.104
H28 -3.8735 -0.3120 -6.3597  0.130
H29 -2.9803 -0.7395 -3.4040  0.132
H30 -3.2200 0.8004 -4.1938  0.104
H31 -0.4921 -1.8987 -5.2639  0.108
H32 -1.0546 -0.8581 -6.6047  0.122
C17 -2.2808 3.4392 -3.2969  -0.108
C18 -1.4205 3.0937 -4.4990  -0.244
C19 -0.0380 2.5228 -4.0884  -0.193
C20 0.6261 3.4183 -3.1506  -0.235
N1 0.9543 4.1645 -2.3102  0.141
H33 -3.2459 3.9182 -3.5708  0.088
H34 -1.7365 4.2508 -2.7759  0.073
H35 -2.3879 2.6138 -2.6293  0.039
H36 -1.1473 3.9964 -5.0715  0.116
H37 -1.9392 2.3711 -5.1299  0.087
H38 0.5741 2.1918 -4.9287  0.121
H39 -0.1976 1.6219 -3.5335  0.080
C21 -0.3616 3.8041 2.7138  -0.117
C22 -0.4001 3.5400 4.2185  -0.222
C23 1.0775 3.5751 4.7836  -0.156
C24 1.7415 2.4580 4.1448  -0.254
N2 2.2015 1.5491 3.6126  0.174
H40 -0.1137 4.8273 2.4706  0.065
H41 -1.3592 3.5891 2.2073  0.090
H42 0.3783 3.0997 2.1999  0.075
H43 -0.7970 2.5700 4.3899  0.076
H44 -0.9667 4.2843 4.7650  0.106
H45 1.0523 3.3702 5.8445  0.101
H46 1.6419 4.4896 4.5727  0.124
C25 -1.2636 0.5832 -0.7055  -0.093
C26 -0.4443 0.7757 0.5277  -0.267
C27 -0.3217 -0.4524 1.3564  -0.194
C28 -1.6410 -0.8433 1.8524  -0.230
N3 -2.7238 -1.0424 2.1368  0.153
*/
[Brief]
What is needed: transcribe everything above without altering anything.
[Solution]
Record 1
DFT (wB97M-V/def2-TZVPD) results for one molecule with the formula C3H3NO2S2.

The total charge is 0. Its spin multiplicity is 1. For the gap between HOMO and LUMO (spin up / spin down), the calculation gives 0.2166 / 0.2328 hartree. The HOMO energy (spin up / spin down) comes out at -7.3 / -7.6 eV. The value obtained for the lowest unoccupied orbital energy (spin up / spin down) is -1.41 / -1.22 eV.

Each line ends with the Löwdin charge.
CARTESIAN COORDINATES (ANGSTROEM)
C1 -0.3358 -1.5217 -0.1982  -0.358
C2 -0.7679 -0.2480 -0.3365  -0.544
C3 1.9274 -0.5150 0.8729  -1.053
N1 -0.0472 0.6996 0.1989  0.008
O1 -1.8165 -0.0707 -1.1939  0.096
O2 -0.5444 2.0413 -0.0643  -0.025
S1 3.0794 0.3317 1.6036  0.678
S2 1.1890 -1.9081 0.5736  1.001
H1 -1.0895 -2.2445 -0.3197  0.059
H2 -1.7067 0.8499 -1.4141  0.091
H3 0.1121 2.5853 0.2776  0.048

---

Record 2
DFT (wB97M-V/def2-TZVPD) results for a 7-piece molecular cluster, C28H53N3O4 overall.

The total charge is 0. Its spin multiplicity is 1. For the gap between HOMO and LUMO, the calculation gives 0.3785 hartree. The HOMO energy comes out at -9.6 eV. The value obtained for the lowest unoccupied orbital energy is 0.71 eV.

Each line ends with the Löwdin charge.
CARTESIAN COORDINATES (ANGSTROEM)
C1 -0.0221 -0.7075 7.9806  -0.141
C2 0.3656 -1.1517 6.5530  -0.154
C3 -0.3237 -0.1202 5.6339  -0.189
O1 -0.2420 1.1239 6.3765  -0.193
C4 -0.3406 0.8047 7.8387  -0.122
H1 0.7904 -0.8486 8.6157  0.082
H2 -0.8845 -1.2477 8.2638  0.094
H3 -0.0227 -2.1201 6.2732  0.098
H4 1.4704 -1.2636 6.4776  0.118
H5 -1.3273 -0.4799 5.4332  0.112
H6 0.1394 0.1059 4.6590  0.090
H7 -1.4034 0.9760 8.0816  0.113
H8 0.2180 1.5414 8.3641  0.098
C5 1.2751 -4.3301 -2.4204  -0.178
C6 0.3543 -3.1426 -2.2727  -0.166
C7 -0.9897 -3.8077 -1.9183  -0.122
O2 -0.8286 -5.1873 -2.4080  -0.142
C8 0.3482 -5.2879 -3.1675  -0.224
H9 1.5768 -4.7295 -1.4501  0.116
H10 2.2345 -4.2507 -2.9067  0.107
H11 0.4845 -2.6055 -3.1917  0.096
H12 0.7623 -2.5527 -1.4948  0.077
H13 -1.7159 -3.2676 -2.4366  0.082
H14 -1.1600 -3.8673 -0.8534  0.120
H15 0.2029 -5.0335 -4.1976  0.106
H16 0.6666 -6.3359 -3.1143  0.124
C9 4.6916 0.1007 -0.0580  -0.154
C10 4.4271 -0.8421 1.1287  -0.156
C11 2.9338 -1.2028 1.0370  -0.214
O3 2.5533 -0.7474 -0.2416  -0.170
C12 3.6902 -0.5031 -1.0154  -0.230
H17 5.6692 -0.0588 -0.4889  0.101
H18 4.6547 1.1852 0.0297  0.115
H19 4.6692 -0.4074 2.0948  0.102
H20 5.0216 -1.7747 1.0817  0.115
H21 2.3072 -0.6841 1.8371  0.096
H22 2.7738 -2.2920 1.2129  0.122
H23 3.3792 0.1990 -1.8153  0.134
H24 4.0719 -1.4661 -1.3683  0.122
C13 -2.5252 -1.9898 -5.8725  -0.181
C14 -3.6103 -0.9696 -5.5065  -0.153
C15 -2.9670 -0.2305 -4.3992  -0.215
O4 -1.5944 -0.1646 -4.7513  -0.157
C16 -1.2884 -1.2656 -5.6271  -0.201
H25 -2.6857 -2.3138 -6.9124  0.127
H26 -2.6967 -2.8510 -5.2772  0.101
H27 -4.5087 -1.4718 -5.2432  0.104
H28 -3.8735 -0.3120 -6.3597  0.130
H29 -2.9803 -0.7395 -3.4040  0.132
H30 -3.2200 0.8004 -4.1938  0.104
H31 -0.4921 -1.8987 -5.2639  0.108
H32 -1.0546 -0.8581 -6.6047  0.122
C17 -2.2808 3.4392 -3.2969  -0.108
C18 -1.4205 3.0937 -4.4990  -0.244
C19 -0.0380 2.5228 -4.0884  -0.193
C20 0.6261 3.4183 -3.1506  -0.235
N1 0.9543 4.1645 -2.3102  0.141
H33 -3.2459 3.9182 -3.5708  0.088
H34 -1.7365 4.2508 -2.7759  0.073
H35 -2.3879 2.6138 -2.6293  0.039
H36 -1.1473 3.9964 -5.0715  0.116
H37 -1.9392 2.3711 -5.1299  0.087
H38 0.5741 2.1918 -4.9287  0.121
H39 -0.1976 1.6219 -3.5335  0.080
C21 -0.3616 3.8041 2.7138  -0.117
C22 -0.4001 3.5400 4.2185  -0.222
C23 1.0775 3.5751 4.7836  -0.156
C24 1.7415 2.4580 4.1448  -0.254
N2 2.2015 1.5491 3.6126  0.174
H40 -0.1137 4.8273 2.4706  0.065
H41 -1.3592 3.5891 2.2073  0.090
H42 0.3783 3.0997 2.1999  0.075
H43 -0.7970 2.5700 4.3899  0.076
H44 -0.9667 4.2843 4.7650  0.106
H45 1.0523 3.3702 5.8445  0.101
H46 1.6419 4.4896 4.5727  0.124
C25 -1.2636 0.5832 -0.7055  -0.093
C26 -0.4443 0.7757 0.5277  -0.267
C27 -0.3217 -0.4524 1.3564  -0.194
C28 -1.6410 -0.8433 1.8524  -0.230
N3 -2.7238 -1.0424 2.1368  0.153